[Excerpt]
-- begin --
This record from Materials Project describes Si7Tc4 after structural relaxation. The functional is PBE.

- Calculated total energy: -342.871 eV/cell
- Formation energy: -0.573 eV per atom

Unit cell a=5.770 b=5.770 c=18.179 alpha=90.00 beta=90.00 gamma=90.00
Space group P-4c2 (No. 116)
Asymmetric unit:
Si1 0.151 0.194 0.114 [8 per cell]
Si2 0.153 0.328 0.817 [8 per cell]
Si3 0.229 0.349 0.540 [8 per cell]
Si4 0.340 0.340 0.250 [4 per cell]
Tc1 0.000 0.000 0.000 [2 per cell]
Tc2 0.000 0.000 0.250 [2 per cell]
Tc3 0.000 0.500 0.192 [4 per cell]
Tc4 0.000 0.500 0.435 [4 per cell]
Tc5 0.500 0.500 0.130 [4 per cell]

* * * * *

Record 1
Below is crystalline LaSi2Os2 at its relaxed geometry, with properties calculated at the PBE level.

Results
- Calculated formation energy: -0.703 eV per atom

Cell: 4.2447 4.2447 9.9999 Å, 90.00 90.00 90.00°
Space group I4/mmm (No. 139)
Asymmetric unit:
La: 0.0000 0.0000 0.0000
Si: 0.0000 0.0000 0.3637
Os: 0.0000 0.5000 0.2500

=====

Record 2
Below is crystalline InH7N2OF4 at its relaxed geometry, with properties calculated at the PBE level.

Results
- Corrected total energy (MP2020 scheme): -304.8 eV/cell
- Calculated formation energy: -1.361 eV per atom

Cell: 6.8868 8.7549 9.2982 Å, 90.00 90.00 90.00°
-- stop --

[Brief]
The reader should retype the data above unchanged.

[Response]
This record from Materials Project describes Si7Tc4 after structural relaxation. The functional is PBE.

- Calculated total energy: -342.871 eV/cell
- Formation energy: -0.573 eV per atom

Unit cell a=5.770 b=5.770 c=18.179 alpha=90.00 beta=90.00 gamma=90.00
Space group P-4c2 (No. 116)
Asymmetric unit:
Si1 0.151 0.194 0.114 [8 per cell]
Si2 0.153 0.328 0.817 [8 per cell]
Si3 0.229 0.349 0.540 [8 per cell]
Si4 0.340 0.340 0.250 [4 per cell]
Tc1 0.000 0.000 0.000 [2 per cell]
Tc2 0.000 0.000 0.250 [2 per cell]
Tc3 0.000 0.500 0.192 [4 per cell]
Tc4 0.000 0.500 0.435 [4 per cell]
Tc5 0.500 0.500 0.130 [4 per cell]

* * * * *

Record 1
Below is crystalline LaSi2Os2 at its relaxed geometry, with properties calculated at the PBE level.

Results
- Calculated formation energy: -0.703 eV per atom

Cell: 4.2447 4.2447 9.9999 Å, 90.00 90.00 90.00°
Space group I4/mmm (No. 139)
Asymmetric unit:
La: 0.0000 0.0000 0.0000
Si: 0.0000 0.0000 0.3637
Os: 0.0000 0.5000 0.2500

=====

Record 2
Below is crystalline InH7N2OF4 at its relaxed geometry, with properties calculated at the PBE level.

Results
- Corrected total energy (MP2020 scheme): -304.8 eV/cell
- Calculated formation energy: -1.361 eV per atom

Cell: 6.8868 8.7549 9.2982 Å, 90.00 90.00 90.00°